2,410 zoekresultaten voor “open science community leiden” in de Publieke website
Open Science Lunch - Faculty of Humanities
Debat, Lunch
Open Science Lunch - Faculty of Law
Debat, Lunch
Kaya Peerdeman
Faculteit der Sociale Wetenschappen
k.j.peerdeman@fsw.leidenuniv.nl | +31 71 527 3622
Open Science Coffee: Developing tools and practices to promote open and efficient science
Daily Records of events in an Ancient Egyptian Artisans'Community'
Irene Morfini verdedigde haar proefschrift op 21 february 2019
Open Science Coffee: Publish Your Reviews
Open Science Coffee: User experiences on preregistration
Uta Wehn benoemd tot bijzonder hoogleraar 'Citizen Science and Sustainability'
Per 1 december 2024 is Uta Wehn benoemd tot bijzonder hoogleraar op de nieuwe leerstoel 'Citizen Science and Sustainability' binnen de Focal Area Engagement and Inclusion van het Centrum voor Wetenschaps- en Technologiestudies (CWTS) van de Universiteit Leiden. De nieuwe leerstoel is gezamenlijk opgericht…
hormones on the interaction between plants and the soil microbial community
The soil ecosystem consists of the largest reservoir of biodiversity on Earth.
The Manichaeans of Kellis: Religion, Community, and Everyday Life
Mattias Brand verdedigde zijn proefschrift op 10 april 2019.
Open Science Coffee: Non-replication pathways
Open Science Coffee: ChatGPT in science: academic (dis)honesty or better science?
community-acquired pneumonia: exploring metabolomics-based biomarkers for diagnosis and treatment response monitoring of community-acquired pneumonia
Exploring metabolomics-based biomarkers for diagnosis and treatment response monitoring of community-acquired pneumonia
OSCoffee: Open Science and AI - Synergy or Contradiction
Metagenomics for community ecology; a next generation of eDNA monitoring tool for biomass studies in freshwater environments
How can we quantify the density of species within a community through environmental DNA concentrations?
OSCoffee: Open Science in Criminology - barriers and opportunities
Open Science Coffee: Open Access Q&A, explaining different options based on four researcher profiles
Open Science Coffee: Experimenting with an open, continuous deployment PhD dissertation
Citizen science
Citizen science of burgerwetenschap is een term die recentelijk veel wordt gebruikt, maar wat houdt het precies in? Wat is het verschil tussen tussen citizen science en crowdsourcing? En hoe verhoudt community archaeology/gemeenschapsarcheologie zich hiermee?
(What comes next are records of molecules, not part of the text)
+++
Below is a single C4H9Cl molecule in a non-equilibrium geometry, with properties calculated with wB97M-V/def2-TZVPD.

Its net charge is 0. As for the LUMO energy: 0.0348 Ha. The HOMO-LUMO gap is 11.403 eV. The value obtained for the energy above the lowest of the compared OMol25 structures with the same formula, charge and spin is 204.3 kJ/mol. Its largest force on an atom is 5.75 eV/A. As for the SMILES: CC(C)CCl.

```
14
C4H9Cl | OMol25 | wB97M-V/def2-TZVPD
C 0.528 1.355 -0.388
C 0.289 0.026 0.441
C 0.820 -1.147 -0.595
C -1.274 -0.207 0.769
H -0.305 1.506 -1.260
H 0.472 2.154 0.490
H 1.513 1.479 -0.785
H 0.979 -0.173 1.241
H 1.920 -1.415 -0.572
H 0.386 -2.067 -0.264
H 0.528 -0.958 -1.586
H -1.507 -1.021 1.443
H -1.578 0.475 1.491
Cl -2.771 -0.007 -0.425
```

~~~~~

1.
+++
(Here the text continues)
- My DNA and the community: what is the future?
Open Science Coffee: A hands-on guide to preprints
Open to all, not known to all: sustaining practices with open educational resources in higher education
In het hoger onderwijs zijn open leermaterialen beschikbaar die iedereen mag gebruiken, maar ze worden niet zo veel gebruikt.
Open Science Coffee: Credit where credit is due - a lesson from team science
Open Science Coffee: a hands-on introduction to preregistration
‘Open Science’ leidt tot betere wetenschap
De Universiteit Leiden kent een actieve community die Open Science wil stimuleren: transparantie in alle fasen van het onderzoek door elke stap nauwkeurig en openbaar vast te leggen. ‘Het is nu de tijd om je open te stellen’, zeggen de psychologen Anna van ’t Veer en Zsuzsika Sjoerds. De noodzaak van…
Open Science Coffee: How to justify your sample size?
Open Science Coffee in International Data Week: pilots for preparing, publishing and monitoring Leiden research data
OSCoffee: How to take your next step in the path to open science
OSCoffee: Doing Open Science in the Humanities: From Public Discourse to Qualitative Data
Open Science Coffee: Online walk-in hour for anything OS and responsible scientific conduct related
Open Science Coffee: Direct publishing as an answer to problems in scholarly publishing
Open Science Coffee: Assessing robustness through multiverse analysis – Applications in research and education
OSCoffee: Open Educational Resources (OER)
Tuesday Talks: Science Insights
De maandelijkse dosis onderzoeksinspiratie van Leiden Science, van onze medewerkers, voor onze medewerkers en alle andere nieuwsgierigen.
OSCoffee: A Glance at Open Access Book Publishing Platforms
Linking soil microbial community dynamics to N2O emission after bioenergy residue amendments
_Data records, as found in the file_
********
1.
C29H52N6OPdS2SbSi | ωB97M-V/def2-TZVPD

Summary:
2S+1: 5
Gap between HOMO and LUMO (alpha / beta) (eV): 7.89 / 4.60
HOMO (alpha / beta) (eV): -15.91 / -15.91
Charge: +3
⟨S²⟩: 6.0519

```
93
C29H52N6OPdS2SbSi, DFT ωB97M-V/def2-TZVPD
Pd -15.6668 -11.0596 -2.1075
C -20.3197 -11.9273 -4.2884
C -19.0244 -12.6048 -4.6696
C -18.9082 -13.2545 -5.9177
C -17.7355 -13.9481 -6.1986
C -16.7069 -13.8632 -5.2728
C -16.8209 -13.0342 -4.0964
N -18.0395 -12.5608 -3.7686
N -15.7784 -12.7401 -3.3376
Si -14.2826 -13.6518 -3.5731
C -14.7265 -15.4953 -3.2960
C -13.1644 -13.0693 -2.1787
C -13.5134 -13.0039 -5.2147
H -20.6005 -11.1720 -5.0196
H -20.2602 -11.4153 -3.3104
H -21.1013 -12.6974 -4.2592
H -19.7670 -13.1957 -6.5725
H -17.6250 -14.5312 -7.0716
H -15.7973 -14.4054 -5.4616
H -15.2758 -15.5430 -2.3403
H -13.8305 -16.1355 -3.1307
H -15.3482 -15.9636 -4.0849
H -13.7055 -13.0347 -1.2148
H -12.8006 -12.0658 -2.4387
H -12.3217 -13.7801 -2.0182
H -14.2846 -12.7694 -5.9788
H -12.7604 -13.7015 -5.6239
H -13.0353 -12.0366 -4.9731
C -16.9718 -6.1289 2.2294
C -16.1413 -5.7580 1.0343
Sb -16.6021 -6.8287 -0.9153
C -18.0862 -5.3139 -1.6820
C -19.4998 -5.7742 -1.3381
C -15.0302 -5.9591 -2.2739
C -13.8694 -5.3801 -1.4812
H -16.7310 -5.4550 3.0527
H -16.8229 -7.1978 2.5189
H -18.0335 -5.9934 1.9982
H -15.0723 -5.9458 1.1634
H -16.2428 -4.7331 0.6861
H -17.9171 -5.2540 -2.7593
H -17.8391 -4.3731 -1.2158
H -19.7029 -6.8026 -1.6926
H -20.2976 -5.1283 -1.7856
H -19.6499 -5.7892 -0.2291
H -15.6437 -5.2096 -2.8070
H -14.7869 -6.8213 -2.9114
H -14.2481 -4.6532 -0.7581
H -13.1092 -4.8713 -2.0737
H -13.3441 -6.1912 -0.9306
C -11.2523 -9.5725 -1.2215
N -12.7070 -9.3987 -1.0747
C -13.4235 -9.9978 -0.1252
S -15.1476 -9.7922 -0.3470
N -12.8322 -10.6007 0.9653
C -12.0713 -9.7600 1.9574
H -10.9902 -9.3843 -2.2866
H -10.9622 -10.5831 -0.9876
H -10.7142 -8.8824 -0.5905
H -13.2325 -9.1175 -1.8959
H -13.6136 -11.0732 1.4620
H -10.9776 -9.8989 1.8414
H -12.2604 -10.0944 2.9629
H -12.3494 -8.7199 1.8755
C -18.0737 -11.0908 3.9510
C -17.7870 -10.3892 2.5975
C -19.0470 -10.1392 1.7608
N -18.7671 -9.6835 0.3835
C -18.6354 -10.4479 -0.7133
S -17.8066 -9.7364 -2.1243
N -18.9498 -11.7724 -0.8379
C -20.0412 -12.4772 -0.1980
O -20.9496 -11.8288 0.3779
C -19.9810 -13.9212 -0.3193
C -21.1264 -14.6338 0.0287
C -21.1225 -16.0221 0.0095
C -19.9610 -16.7156 -0.3663
C -18.8386 -16.0247 -0.7350
C -18.8111 -14.6194 -0.6870
H -17.1559 -11.3916 4.4361
H -18.7174 -11.9699 3.8652
H -18.6455 -10.4420 4.6622
H -17.1602 -11.0845 2.0355
H -17.2612 -9.4647 2.7187
H -19.6448 -9.3124 2.2054
H -19.7003 -11.0427 1.6795
H -18.2285 -8.8296 0.2284
H -18.7211 -12.0935 -1.7871
H -22.0003 -14.0694 0.3384
H -22.0236 -16.5821 0.3302
H -19.9442 -17.8081 -0.3783
H -17.9576 -16.5469 -1.1285
H -17.8973 -14.0995 -0.9564
```
********
Vinasse is a major by-product generated by the sugarcane biofuel industry. It is a source of microbes, nutrients and organic matter and often it is recycled as fertilizer.
Principles of Environmental Sciences
Principles of Environmental Sciences provides a comprehensive picture of the principles, concepts and methods that are applicable to problems originating from the interaction between the living and non-living environment and mankind. Both the analysis of such problems and the way solutions to environmental…
Preprints plaatsen: ‘Er is geen enkele reden om het niet te doen’
Universiteit Leiden publiceert het hoogste percentage preprints van Nederland. Hoe komt dat en waarom zou je je artikel al voordat het door vakgenoten is beoordeeld online zetten?
Early Childhood Community Practitioners’ analyses of new mother’s challenges in Alexandra Township South Africa
In dit artikel presenteren Josien de Klerk en anderen vijf webposts die zijn geschreven door studenten van het Leiden University College in samenwerking met Ububele Early Childhood Community Practitioners (ECCP), in Alexandra, een township in Zuid-Afrika.
Open Science Week 2024
OSCoffee: Making data reusable in the social sciences
OSCoffee: Unintended consequences of the shift towards Gold Open Access publishing
analysis of stakeholder interests and conflicts in and around Big Science
Big Science, commonly defined as conventional science made big in three dimensions, namely organizations, machines, and politics, brings a plethora of different stakeholders together, often for a long period of time. This includes policymakers, scientists, (scientific) managers as well as local “host”…
Ragazzi, ‘Suspect community or suspect category?‘, Journal of Ethnic and Migration Studies
Ragazzi, ‘Suspect community or suspect category?‘, Journal of Ethnic and Migration Studies
Gintingan in Subang: An Indigenous Institution for Sustainable Community-Based Development in the Sunda Region of West Java, Indonesia
This study attempts to understand how indigenous community institutions pose an important role in sustainable community-based development, including the integration between local culture and development.
Open Dagen
Op zoek naar een Bachelor die bij jou past? Bezoek de Open Dagen van Universiteit Leiden en maak kennis met onze opleidingen in Leiden en Den Haag.
OSCoffee: Research Software on the rise at Leiden University
NWO Open Science Fund subsidies voor vijf Leidse projecten
Vijf projecten met een Leidse hoofdaanvrager krijgen een Open Science Fund-subsidie van de Nederlandse Organisatie voor Wetenschappelijk Onderzoek.
Matter into context: population- and community-level impacts of nanomaterials in freshwater ecosystems
The application of nanomaterials in industrial processes and consumer products provides many societal benefits, but can also lead to the release of nanomaterials into the environment. The work in this dissertation aims to provide insights into the potential environmental impacts that may follow from…
Utilisation of the Plural Medical System in Pirgos and Praitoria for Community Health Development in Rural Crete, Greece
Promotor: Prof.dr. L.J. Slikkerveer